By Ed Barnett

Just a little more than a week ago, I was at the year-end meetings for the North American Division wondering, along with others, what Randy Robinson, the new treasurer for the Division would deliver in his first treasurer’s report. I was curious about how he would deal with the financial planning of our church. He began with a picture of a beautiful retired couple sitting at their kitchen table writing out their check for tithes and offerings. This beautiful picture, he explained, was common in this household as they faithfully give of their monies for God’s work with each increase.

Then he explained that because of Mr. and Mrs. Jones and many others like them we must faithfully give account for every penny given to God’s work around the globe. Whenever we use money given by God’s faithful people, we must keep in mind the Joneses and their faithful trust in God’s work. I was impressed with our new treasurer.

Every penny that comes into God’s work must be carefully and faithfully used toward God’s work. I am proud that our Rocky Mountain Conference is audited each year and care- fully checked for legality and faithfulness. Once again, auditors gave us a clean audit and were impressed with the work that George Crumley and his team are doing.

### Between two parts of the piece: records of molecules
<<<
1.
20
Properties=species:S:1:pos:R:3:forces:R:3 method="wB97M-V/def2-TZVPD" charge=0 homo_energy_ev="-6.25 / -8.51" multiplicity=3 relative_energy_kj_mol=143.6 energy_ev=-34627.4342
S 1.948 1.312 1.115 -1.90 -2.58 3.95
S -0.035 3.030 -0.390 0.78 -0.58 0.23
O -0.498 1.637 1.791 0.45 0.61 2.96
O 2.796 1.447 0.023 1.56 -0.12 -2.07
O 2.185 1.994 2.361 -0.06 0.79 0.04
N 1.830 -0.371 1.622 3.24 0.65 -5.47
C -0.170 -0.036 -0.915 0.94 -2.46 -0.63
C -0.656 2.198 -1.763 -0.14 -1.17 -1.22
C 0.242 1.605 0.698 1.03 3.17 0.92
C -0.913 -1.072 -0.055 -0.44 3.61 0.49
C -0.787 0.844 -1.851 0.30 1.09 0.57
H -0.977 -1.909 -0.636 -0.44 -2.74 -1.20
H 1.649 -0.577 2.534 -0.55 0.09 3.17
H -0.266 -1.211 0.788 0.06 -0.53 0.55
H 0.042 2.034 2.607 -1.23 -1.23 -2.15
H 2.740 -0.869 1.309 -2.12 1.11 0.61
H -0.939 2.831 -2.600 -0.29 0.09 0.34
H 0.998 -0.125 -0.850 -2.40 0.61 -0.09
H -1.456 0.450 -2.601 -0.25 -0.13 -0.27
H -1.951 -0.753 0.314 1.48 -0.28 -0.73

***

2.
19
Properties=species:S:1:pos:R:3:forces:R:3 method="wB97M-V/def2-TZVPD" charge=0 homo_energy_ev=-9.00 relative_energy_kj_mol=477.8 energy_ev=-15007.2915
O -0.959 -1.751 -0.196 1.86 -1.83 -0.41
O 1.614 -1.305 -0.242 0.59 1.14 -0.18
O -0.068 1.724 0.963 0.34 0.37 -0.29
O 0.181 1.204 -1.627 0.01 0.24 1.90
N 2.697 0.659 -0.077 0.79 0.51 0.11
C 0.290 0.748 -0.464 -0.91 -2.69 -1.31
C 0.074 -2.490 -0.020 -3.99 1.17 0.07
C -0.880 0.228 0.367 0.60 1.91 0.83
C 1.596 -0.046 -0.232 -0.70 -0.93 0.64
C -2.260 0.643 -0.082 -0.09 -0.30 0.11
H -3.024 0.046 0.429 0.22 -0.02 -0.35
H 3.603 0.207 -0.064 -0.30 0.04 0.10
H 2.635 1.645 0.139 -0.02 -0.21 -0.29
H 0.269 -3.238 -0.805 0.68 0.45 0.15
H -2.478 1.688 0.174 0.25 -0.23 0.02
H -0.526 2.446 0.521 0.01 0.30 -0.04
H -0.720 -0.207 1.363 -0.10 -0.01 -0.97
H -2.330 0.571 -1.174 -0.01 -0.19 0.32
H 0.285 -2.774 1.028 0.76 0.28 -0.42

***

3.
17
Properties=species:S:1:pos:R:3:forces:R:3 method="wB97M-V/def2-TZVPD" charge=0 homo_energy_ev=-9.15 relative_energy_kj_mol=1160.0 energy_ev=-19692.2810
S 2.916 0.930 0.171 0.50 -0.82 -1.30
O 1.458 -1.143 -0.592 1.47 1.04 2.25
N -1.574 -0.984 -0.260 2.01 -0.81 -2.80
C -1.903 1.456 -0.289 -1.38 2.54 -0.58
C -0.944 0.400 -0.342 -1.81 -1.26 0.63
C -0.571 -0.498 0.690 -4.02 0.27 1.90
C 2.664 -0.452 -0.692 1.46 -0.71 0.61
C 0.760 -0.908 0.812 2.43 -1.78 1.06
H -0.984 -0.164 1.754 0.48 -1.11 -2.07
H 0.850 -1.876 1.442 0.35 1.43 -1.44
H -0.204 0.588 -1.000 2.26 0.09 -2.53
H -2.942 0.807 -1.163 2.52 2.90 3.06
H 0.977 -0.003 1.449 1.99 -1.19 -0.96
H -1.098 -1.550 -1.116 -1.17 1.29 2.89
H 3.711 -1.000 -1.290 -3.98 1.41 1.42
H -1.076 2.700 -1.017 -2.76 -3.07 2.18
H -2.039 1.699 1.442 -0.36 -0.22 -4.30
>>>

It is the faithfulness of God’s people in our conference that makes it possible for us to fulfill our mission of taking the Gospel of Jesus to everyone in our territory. Most of our members have humble salaries, but are nonetheless faithful. Some of our believers are financially blessed and able to give large sums of money, but all God asks is that each of us be a faithful steward of whatever He has given us.

What comes next are calculated molecules, not part of the text:
<<<
No. 1
{
  "formula": "CH4N2O2",
  "method": "ωB97M-V with the def2-TZVPD basis set",
  "species": ["C", "N", "N", "O", "O", "H", "H", "H", "H"],
  "coordinates": [[-0.198178, -0.115259, 0.337399], [-4.247988, -0.274110, 0.687477], [0.944674, -0.101241, -0.562347], [-4.301966, 0.114746, -0.543668], [2.275585, -0.206830, 0.021263], [-0.305144, 0.905017, 0.785000], [-1.098145, -0.346332, -0.252716], [0.069934, -0.859094, 1.131660], [0.801323, -1.019455, -0.908610]],
  "atomic_forces_ev_per_a": [[1.2, 1.1, 1.1], [-0.2, 0.6, -1.9], [0.8, 0.2, -0.7], [0.0, -0.6, 1.9], [-1.2, 0.3, 0.4], [-0.2, -0.8, 0.0], [0.2, -0.1, 0.5], [-0.8, 0.4, 0.0], [0.3, -1.0, -1.2]],
  "lowdin_charge": [-0.23, -0.40, -0.38, -0.57, -0.58, 0.05, 0.05, 0.05, 0.01],
  "total_charge": -2,
  "fmax_ha_per_bohr": 0.039,
  "homo_lumo_gap_ev": [5.79, 5.81],
  "lumo_ev": [7.98, 7.97],
  "homo_ev": [2.186, 2.166]
}

No. 2
{
  "formula": "C26H27ClN4O3",
  "method": "ωB97M-V with the def2-TZVPD basis set",
  "species": ["C", "O", "C", "C", "C", "C", "C", "N", "C", "O", "C", "C", "N", "C", "C", "N", "C", "C", "O", "N", "C", "C", "C", "C", "C", "C", "C", "C", "C", "C", "Cl", "C", "C", "C", "H", "H", "H", "H", "H", "H", "H", "H", "H", "H", "H", "H", "H", "H", "H", "H", "H", "H", "H", "H", "H", "H", "H", "H", "H", "H", "H"],
>>>

Many give hundreds of dollars to God’s work each month; some give thousands, but as long as God’s people are faithful, we have a steady stream of funds to do His bidding. These are the monies used to make our monthly and yearly budgets.

Once in a while, someone will sell a piece of property or a business, giving them the ability to return a onetime event tithe and offering on that blessing. We call this windfall tithe and since we can’t count on it happening again, we never budget using hoped-for windfall tithe.

Checks and electronic monies are faithfully given all over our conference, sometimes in small amounts, sometimes in large sums. It is amazing to see the generosity and faithfulness of God’s people. A windfall tithe from a property sale just short of a million dollars came in this year and I wondered what it would be like to write out a check of that size. I was reminded that every gift, no matter the size, from a faithful supporter of God’s work receives the same blessing as the return of a smaller yet honest and faithful amount.

Last year, more than seventeen million dollars came into our conference through tithes and offerings from faithful people who care about God’s work in our conference and beyond. God is blessing His work here in the Rocky Mountain Conference. Both my wife and I are grateful to be able to faithfully give our funds into God’s work.

It reminds me of the words found in Malachi 3:10-12:

“‘Bring the whole tithe into the storehouse, that there may be food in my house. Test me in this,’ says the LORD Almighty, ‘and see if I will not throw open the floodgates of heaven and pour out so much blessing that there will not be room enough to store it. I will prevent pests from devouring your crops, and the vines in your fields will not drop their fruit before it is ripe,’ says the LORD Almighty. ‘Then all the nations will call you blessed, for yours will be a delightful land,’ says the LORD Almighty.”

It is a joy to be faithful in God’s tithes and offerings. When I look back over my life and ministry in the church, I can say unequivocally that God has blessed us way beyond what we deserve. He is always faithful to His word.

We are nearing the end of another year and, believe it or not, 2020 will soon be upon us. I invite you to continue your faithfulness to God as we finish the year, and you will receive blessings beyond measure and beyond belief.

–Ed Barnett is RMC president. Email him at: [email protected]